_To do_
Search the notes underneath for the word "moment" and give back each line that has it, please.

_Input_
~~~
A geometry-optimized Sn2TeN structure, computed with PBE.

abc: 5.0174 5.0174 5.0174
angles: 60.00 60.00 60.00
Closest atoms and distances in Å follow each position.
Atoms (fractional coordinates):
Te: 0.5000 0.5000 0.5000  8 Sn 3.07
Sn: 0.2500 0.2500 0.2500  4 Te 3.07, 4 N 3.07
Sn: 0.7500 0.7500 0.7500  4 Te 3.07, 4 N 3.07
N: 0.0000 0.0000 0.0000  8 Sn 3.07

total magnetic moment: 0.00 μB per atom
crystal system: cubic


A geometry-optimized SnTe3N structure, computed with PBE.

abc: 4.8871 4.8871 4.8871
angles: 90.00 90.00 90.00
Closest atoms and distances in Å follow each position.
Atoms (fractional coordinates):
Te: 0.0000 0.5000 0.0000  2 N 2.44
Te: 0.0000 0.0000 0.5000  2 N 2.44
Te: 0.5000 0.0000 0.0000  2 N 2.44
Sn: 0.5000 0.5000 0.5000  12 Te 3.46
N: 0.0000 0.0000 0.0000  6 Te 2.44

total magnetic moment: 0.00 μB per atom
crystal system: cubic


A geometry-optimized Sn2TeN2 structure, computed with PBE.

abc: 9.0136 9.0136 3.1125
angles: 90.00 90.00 90.00
Closest atoms and distances in Å follow each position.
Atoms (fractional coordinates):
Te: 0.0000 0.0000 0.0000  2 Te 3.11, 4 Sn 3.23
Te: 0.5000 0.5000 0.0000  2 Te 3.11, 4 Sn 3.23
Sn: 0.2097 0.7097 0.0000  2 N 2.60
Sn: 0.7097 0.7903 0.0000  2 N 2.60
Sn: 0.7903 0.2903 0.0000  2 N 2.60
Sn: 0.2903 0.2097 0.0000  2 N 2.60
N: 0.0460 0.5460 0.5000  1 N 1.17
N: 0.5460 0.9540 0.5000  1 N 1.17
N: 0.9540 0.4540 0.5000  1 N 1.17
N: 0.4540 0.0460 0.5000  1 N 1.17

total magnetic moment: 0.00 μB per atom
crystal system: tetragonal


It is found that the offset from the most stable computed form values, taken in the order of the records, are 0.7254 0.0000 0.0000 eV/atom.
It is found that the E_form (uncorrected) values, taken in the order of the records, are 998.1 550.1 359.6 meV per atom.

=====

# LiBrF2 PBE optimized geometry
# relative energy among the computed polymorphs = 0 meV per atom
# raw formation energy = -1.646 eV per atom
data_LiBrF2
_space_group_name_H-M_alt 'R -3 m'
_space_group_IT_number 166
_space_group_name_Hall '-R 3 2"'
_cell_length_a 3.5267
_cell_length_b 3.5267
_cell_length_c 17.6154
_cell_angle_alpha 90.00
_cell_angle_beta 90.00
_cell_angle_gamma 120.00
loop_
_atom_site_label
_atom_site_type_symbol
_atom_site_fract_x
_atom_site_fract_y
_atom_site_fract_z
Li1 Li 0.0000 0.0000 0.0000
Br1 Br 0.0000 0.0000 0.5000
F1 F 0.0000 0.0000 0.3852

***

# Ce2PrGaCo PBE optimized geometry
# formation energy from the elements = -0.15 eV per atom
data_Ce2PrGaCo
_space_group_name_H-M_alt 'P 4 m m'
_space_group_IT_number 99
_space_group_name_Hall 'P 4 -2'
_cell_length_a 4.915
_cell_length_b 4.915
_cell_length_c 5.620
_cell_angle_alpha 90.00
_cell_angle_beta 90.00
_cell_angle_gamma 90.00
loop_
_atom_site_label
_atom_site_type_symbol
_atom_site_fract_x
_atom_site_fract_y
_atom_site_fract_z
Ce1 Ce 0.000 0.500 0.000
Pr1 Pr 0.000 0.000 0.500
Ga1 Ga 0.500 0.500 0.502
Co1 Co 0.000 0.000 0.000

***

Respective E values: -41.74 -27.53 eV for the cell shown.

=====

[1]
Material: Y2CrOs
Method: DFT, PBE
State: relaxed

Properties
V	85	Å³/cell
total moment	4.014	μB/cell
formation energy	0.341	eV/atom
offset from the most stable computed form	306	meV/atom
~~~

_Result_
total magnetic moment: 0.00 μB per atom
total magnetic moment: 0.00 μB per atom
total magnetic moment: 0.00 μB per atom
total moment	4.014	μB/cell